Wanted >
Now transcribe the lines further below from the one with "0.2812 0.5402" to the one with "No. 1." exactly.

Entries >
# 1
CoH4SeO5 | PBE+U | relaxed

Lattice parameters (Å, degrees): 5.7163 11.7113 8.7409 90.00 118.42 90.00
Closest atoms and distances in Å follow each position.
Sites, in units of the cell vectors:
Co1 0.2088 0.0655 0.4356  6 O 2.05-2.26
Co2 0.2088 0.4345 0.9356  6 O 2.05-2.26
Co3 0.7912 0.5655 0.0644  6 O 2.05-2.26
Co4 0.7912 0.9345 0.5644  6 O 2.05-2.26
H1 0.0893 0.5847 0.4085  1 O 1.01
H2 0.0893 0.9153 0.9085  1 O 1.01
H3 0.1032 0.1862 0.1354  1 O 0.99
H4 0.1032 0.3138 0.6354  1 O 0.99
H5 0.2739 0.6012 0.6814  1 O 0.99
H6 0.2739 0.8988 0.1814  1 O 0.99
H7 0.4718 0.0624 0.8243  1 O 1.00
H8 0.4718 0.4376 0.3243  1 O 1.00
H9 0.5282 0.5624 0.6757  1 O 1.00
H10 0.5282 0.9376 0.1757  1 O 1.00
H11 0.7261 0.1012 0.8186  1 O 0.99
H12 0.7261 0.3988 0.3186  1 O 0.99
H13 0.8968 0.6862 0.3646  1 O 0.99
H14 0.8968 0.8138 0.8646  1 O 0.99
H15 0.9107 0.0847 0.0915  1 O 1.01
H16 0.9107 0.4153 0.5915  1 O 1.01
Se1 0.3057 0.6532 0.1324  3 O 1.73-1.76
Se2 0.3057 0.8468 0.6324  3 O 1.73-1.76
Se3 0.6943 0.1532 0.3676  3 O 1.73-1.76
Se4 0.6943 0.3468 0.8676  3 O 1.73-1.76
O1 0.0202 0.2000 0.4809  1 Se 1.73, 1 H 1.79
O2 0.0202 0.3000 0.9809  1 Se 1.73, 1 H 1.79
O3 0.0945 0.1091 0.1801  2 H 0.99-1.01
O4 0.0945 0.3909 0.6801  2 H 0.99-1.01
O5 0.2230 0.5160 0.1734  1 H 1.68, 1 Se 1.76
O6 0.2230 0.9840 0.6734  1 H 1.68, 1 Se 1.76
O7 0.3616 0.6074 0.6082  2 H 0.99-1.00
O8 0.3616 0.8926 0.1082  2 H 0.99-1.00
O9 0.3812 0.6073 0.9689  1 Se 1.76
O10 0.3812 0.8927 0.4689  1 Se 1.76
O11 0.6188 0.1073 0.5311  1 Se 1.76
O12 0.6188 0.3927 0.0311  1 Se 1.76
O13 0.6384 0.1074 0.8918  2 H 0.99-1.00
O14 0.6384 0.3926 0.3918  2 H 0.99-1.00
O15 0.7770 0.0160 0.3266  1 H 1.68, 1 Se 1.76
O16 0.7770 0.4840 0.8266  1 H 1.68, 1 Se 1.76
O17 0.9055 0.6091 0.3199  2 H 0.99-1.01
O18 0.9055 0.8909 0.8199  2 H 0.99-1.01
O19 0.9798 0.7000 0.0191  1 Se 1.73, 1 H 1.79
O20 0.9798 0.8000 0.5191  1 Se 1.73, 1 H 1.79

Calculated values
The calculation puts the magnetic moment at 12.00 μB/cell. For the total energy, the calculation gives -5.220 eV/atom. Its energy above the most stable polymorph in this dataset is 52 meV per atom. The space group is No. 14. The value obtained for the energy of formation from the pure elements is -1.2344 eV/atom.


# 2
V4O3F9 | PBE+U | relaxed

Lattice parameters (Å, degrees): 5.2417 5.3862 17.5343 89.89 82.17 61.39
Closest atoms and distances in Å follow each position.
Sites, in units of the cell vectors:
V1 0.0000 0.0000 0.0000  1 O 1.67
V2 0.0095 0.4765 0.4988  2 O 1.93-1.97, 4 F 1.96-2.01
V3 0.2353 0.3549 0.1240  4 F 1.95-1.96, 2 O 1.98-1.99
V4 0.2463 0.8365 0.6190  1 O 1.70
V5 0.4680 0.7133 0.2478  1 O 1.67
V6 0.5144 0.2322 0.7533  1 O 1.69
V7 0.7083 0.1166 0.3767  1 O 1.68
V8 0.7397 0.6261 0.8674  1 O 1.70
O1 0.1408 0.1765 0.0412  1 V 1.67
O2 0.1649 0.6859 0.5473  1 V 1.70
O3 0.3335 0.5289 0.2076  1 V 1.67
O4 0.3520 0.3024 0.4164  1 V 1.68
O5 0.6581 0.4144 0.7924  1 V 1.69
O6 0.6988 0.8955 0.8111  1 V 1.70
F1 0.1500 0.8975 0.3358  2 V 1.97-2.05
F2 0.1642 0.3828 0.8351  2 V 1.96-1.99
F3 0.2007 0.6590 0.0582  2 V 1.95-1.99
F4 0.2202 0.1586 0.5624  2 V 1.95-1.98
F5 0.2664 0.0502 0.1899  2 V 1.96-1.97
F6 0.2812 0.5402 0.6895  2 V 1.97-1.98
F7 0.3176 0.8113 0.9121  2 V 1.97-1.98
F8 0.3270 0.0230 0.7055  2 V 2.02-2.06
F9 0.6538 0.1335 0.0824  2 V 1.96-1.98
F10 0.6558 0.9343 0.2885  2 V 1.95-2.05
F11 0.6674 0.6373 0.5856  2 V 1.94-2.01
F12 0.7107 0.4165 0.3125  2 V 1.97-1.98
F13 0.7733 0.3036 0.9351  2 V 1.97-2.05
F14 0.7822 0.7789 0.4342  2 V 1.96-1.98
F15 0.8163 0.5744 0.1654  2 V 1.96-1.99
F16 0.8235 0.7744 0.9576  2 V 1.97-2.04
F17 0.8251 0.0624 0.6642  2 V 1.95-1.98
F18 0.8429 0.2534 0.4596  2 V 1.96-1.98

Calculated values
For the total energy, the calculation gives -6.416 eV/atom. Its energy above the most stable polymorph in this dataset is 1 meV per atom. The space group is No. 1. The value obtained for the energy of formation from the pure elements is -2.9542 eV/atom.


# 3
Li2Fe3BiO8 | PBE+U | relaxed

Solution >
F6 0.2812 0.5402 0.6895  2 V 1.97-1.98
F7 0.3176 0.8113 0.9121  2 V 1.97-1.98
F8 0.3270 0.0230 0.7055  2 V 2.02-2.06
F9 0.6538 0.1335 0.0824  2 V 1.96-1.98
F10 0.6558 0.9343 0.2885  2 V 1.95-2.05
F11 0.6674 0.6373 0.5856  2 V 1.94-2.01
F12 0.7107 0.4165 0.3125  2 V 1.97-1.98
F13 0.7733 0.3036 0.9351  2 V 1.97-2.05
F14 0.7822 0.7789 0.4342  2 V 1.96-1.98
F15 0.8163 0.5744 0.1654  2 V 1.96-1.99
F16 0.8235 0.7744 0.9576  2 V 1.97-2.04
F17 0.8251 0.0624 0.6642  2 V 1.95-1.98
F18 0.8429 0.2534 0.4596  2 V 1.96-1.98

Calculated values
For the total energy, the calculation gives -6.416 eV/atom. Its energy above the most stable polymorph in this dataset is 1 meV per atom. The space group is No. 1. The value obtained for the energy of formation from the pure elements is -2.9542 eV/atom.